-- Work order --
Next, write out the notes further down from the line with "0.6229" to the end word for word.

-- Entries --
-- begin --
Computed powder diffraction line list
Compound: LiSbTe3O12
Radiation: Cu Kα
Structure: DFT lattice parameters and positions (GGA-PBE)
Kinematic intensities with the Lorentz-polarization factor, no thermal factor.

Cell and atoms:
Lattice parameters (Å, degrees): 4.9337 8.5052 5.2541 90.00 90.26 90.00
Space group P2 (No. 3)
One atom of each set of equivalent atoms:
Li  0.0000  0.0000  0.0000 (multiplicity 1)
Sb  0.5000  0.1072  0.5000 (multiplicity 1)
Te  0.0000  0.6027  0.0000 (multiplicity 1)
Te  0.0000  0.7887  0.5000 (multiplicity 1)
Te  0.5000  0.2915  0.0000 (multiplicity 1)
O  0.2044  0.7782  0.8219 (multiplicity 2)
O  0.2088  0.6229  0.3167 (multiplicity 2)
O  0.2383  0.9468  0.3566 (multiplicity 2)
O  0.2538  0.4535  0.8599 (multiplicity 2)
O  0.2834  0.1272  0.8223 (multiplicity 2)
O  0.2891  0.2748  0.3057 (multiplicity 2)

Peak list (10 most intense, 15 to 90 degrees two-theta, in order of rising 2θ)
19.86°, rel. 42, hkl 0 1 1; 20.82°, rel. 100, hkl 1 1 0; 32.61°, rel. 59, hkl 1 2 1; 36.00°, rel. 18, hkl 0 3 1; 40.24°, rel. 13, hkl 1 1 -2; 40.38°, rel. 15, hkl 1 1 2; 49.82°, rel. 10, hkl 1 4 -1; 52.08°, rel. 13, hkl 2 3 -1; 52.20°, rel. 12, hkl 2 3 1; 57.26°, rel. 11, hkl 1 5 0

----------

For SrV2ReO8, a structure optimized by DFT (GGA+U) gives the theoretical X-ray diffraction stick pattern in this record (CuKα).

Structural model:
```
data_SrV2ReO8
_cell_length_a 5.6282
_cell_length_b 5.6282
_cell_length_c 6.8179
_cell_angle_alpha 90.00
_cell_angle_beta 90.00
_cell_angle_gamma 120.00
_space_group_name_H-M_alt 'P -3 m 1'
_space_group_IT_number 164
_space_group_name_Hall '-P 3 2"'
loop_
_atom_site_label
_atom_site_type_symbol
_atom_site_fract_x
_atom_site_fract_y
_atom_site_fract_z
Sr1 Sr 0.0000 0.0000 0.0000
V1 V 0.3333 0.6667 0.7579
Re1 Re 0.0000 0.0000 0.5000
O1 O 0.1592 0.3184 0.6802
O2 O 0.3333 0.6667 0.0036
```

Most intense lines, 15° ≤ 2θ ≤ 90°, in order of falling intensity:
| d (Å) | Position (°2θ) | intensity |
| --- | --- | --- |
| 4.874 | 18.2 | 100.0 |
| 2.794 | 32.0 | 83.7 |
| 2.814 | 31.8 | 70.6 |
| 3.965 | 22.4 | 70.1 |
| 1.983 | 45.8 | 42.8 |
| 1.621 | 56.8 | 35.7 |
| 2.170 | 41.6 | 24.5 |
| 1.458 | 63.8 | 21.1 |
| 1.257 | 75.7 | 14.8 |
| 1.842 | 49.5 | 13.5 |
| 1.778 | 51.4 | 13.3 |
| 1.625 | 56.7 | 13.1 |

----------

Structure and computed PXRD pattern of TbY2In3Pd2Au (the GGA-PBE geometry in OQMD; Cu Kα).
Peak positions follow from Bragg's law for the DFT cell and can differ from measured ones.

Main lines, sorted by position (2θ = 5–70°):
two_theta  I/Imax
13.12  19
26.64  13
32.68  78
35.17  34
35.36  100
40.07  55
42.50  44
47.18  23
48.63  10
60.19  14
63.58  28
64.89  39

Crystal structure
a b c (Å): 3.853 7.791 7.791
angles (deg): 119.92 90.00 90.00
Sites, in units of the cell vectors:
Tb 0.000 0.000 0.000
Y 0.000 0.406 0.812
Y 0.000 0.812 0.406
In 0.500 0.138 0.407
In 0.500 0.407 0.138
In 0.500 0.674 0.674
Pd 0.500 0.073 0.740
Pd 0.500 0.740 0.073
Au 0.000 0.406 0.406



Structure and computed PXRD pattern of Os3S4 (the GGA-PBE geometry in OQMD; Cu Kα).
Peak positions follow from Bragg's law for the DFT cell and can differ from measured ones.

Main lines, sorted by position (2θ = 5–70°):
two_theta  I/Imax
17.41  21
17.97  30
29.16  100
29.37  33
30.39  45
35.25  19
36.43  48
45.42  33
46.76  31
47.31  45
50.90  23
53.24  30

Crystal structure
a b c (Å): 5.978 5.978 5.899
angles (deg): 115.41 115.41 34.93
Sites, in units of the cell vectors:
Os 0.000 0.000 0.000
Os 0.274 0.274 0.312
Os 0.726 0.726 0.688
S 0.104 0.104 0.453
S 0.362 0.362 0.017
S 0.638 0.638 0.983
S 0.896 0.896 0.547



Structure and computed PXRD pattern of Pr4Br4NCl (the GGA-PBE geometry in OQMD; Cu Kα).
Peak positions follow from Bragg's law for the DFT cell and can differ from measured ones.

Main lines, sorted by position (2θ = 5–70°):
two_theta  I/Imax
11.12  50
28.28  14
30.16  46
31.10  21
31.75  100
34.20  25
37.65  15
44.05  26
44.19  14
44.65  29
46.81  18
56.68  18

Crystal structure
-- stop --

-- Response --
O  0.2088  0.6229  0.3167 (multiplicity 2)
O  0.2383  0.9468  0.3566 (multiplicity 2)
O  0.2538  0.4535  0.8599 (multiplicity 2)
O  0.2834  0.1272  0.8223 (multiplicity 2)
O  0.2891  0.2748  0.3057 (multiplicity 2)

Peak list (10 most intense, 15 to 90 degrees two-theta, in order of rising 2θ)
19.86°, rel. 42, hkl 0 1 1; 20.82°, rel. 100, hkl 1 1 0; 32.61°, rel. 59, hkl 1 2 1; 36.00°, rel. 18, hkl 0 3 1; 40.24°, rel. 13, hkl 1 1 -2; 40.38°, rel. 15, hkl 1 1 2; 49.82°, rel. 10, hkl 1 4 -1; 52.08°, rel. 13, hkl 2 3 -1; 52.20°, rel. 12, hkl 2 3 1; 57.26°, rel. 11, hkl 1 5 0

----------

For SrV2ReO8, a structure optimized by DFT (GGA+U) gives the theoretical X-ray diffraction stick pattern in this record (CuKα).

Structural model:
```
data_SrV2ReO8
_cell_length_a 5.6282
_cell_length_b 5.6282
_cell_length_c 6.8179
_cell_angle_alpha 90.00
_cell_angle_beta 90.00
_cell_angle_gamma 120.00
_space_group_name_H-M_alt 'P -3 m 1'
_space_group_IT_number 164
_space_group_name_Hall '-P 3 2"'
loop_
_atom_site_label
_atom_site_type_symbol
_atom_site_fract_x
_atom_site_fract_y
_atom_site_fract_z
Sr1 Sr 0.0000 0.0000 0.0000
V1 V 0.3333 0.6667 0.7579
Re1 Re 0.0000 0.0000 0.5000
O1 O 0.1592 0.3184 0.6802
O2 O 0.3333 0.6667 0.0036
```

Most intense lines, 15° ≤ 2θ ≤ 90°, in order of falling intensity:
| d (Å) | Position (°2θ) | intensity |
| --- | --- | --- |
| 4.874 | 18.2 | 100.0 |
| 2.794 | 32.0 | 83.7 |
| 2.814 | 31.8 | 70.6 |
| 3.965 | 22.4 | 70.1 |
| 1.983 | 45.8 | 42.8 |
| 1.621 | 56.8 | 35.7 |
| 2.170 | 41.6 | 24.5 |
| 1.458 | 63.8 | 21.1 |
| 1.257 | 75.7 | 14.8 |
| 1.842 | 49.5 | 13.5 |
| 1.778 | 51.4 | 13.3 |
| 1.625 | 56.7 | 13.1 |

----------

Structure and computed PXRD pattern of TbY2In3Pd2Au (the GGA-PBE geometry in OQMD; Cu Kα).
Peak positions follow from Bragg's law for the DFT cell and can differ from measured ones.

Main lines, sorted by position (2θ = 5–70°):
two_theta  I/Imax
13.12  19
26.64  13
32.68  78
35.17  34
35.36  100
40.07  55
42.50  44
47.18  23
48.63  10
60.19  14
63.58  28
64.89  39

Crystal structure
a b c (Å): 3.853 7.791 7.791
angles (deg): 119.92 90.00 90.00
Sites, in units of the cell vectors:
Tb 0.000 0.000 0.000
Y 0.000 0.406 0.812
Y 0.000 0.812 0.406
In 0.500 0.138 0.407
In 0.500 0.407 0.138
In 0.500 0.674 0.674
Pd 0.500 0.073 0.740
Pd 0.500 0.740 0.073
Au 0.000 0.406 0.406



Structure and computed PXRD pattern of Os3S4 (the GGA-PBE geometry in OQMD; Cu Kα).
Peak positions follow from Bragg's law for the DFT cell and can differ from measured ones.

Main lines, sorted by position (2θ = 5–70°):
two_theta  I/Imax
17.41  21
17.97  30
29.16  100
29.37  33
30.39  45
35.25  19
36.43  48
45.42  33
46.76  31
47.31  45
50.90  23
53.24  30

Crystal structure
a b c (Å): 5.978 5.978 5.899
angles (deg): 115.41 115.41 34.93
Sites, in units of the cell vectors:
Os 0.000 0.000 0.000
Os 0.274 0.274 0.312
Os 0.726 0.726 0.688
S 0.104 0.104 0.453
S 0.362 0.362 0.017
S 0.638 0.638 0.983
S 0.896 0.896 0.547



Structure and computed PXRD pattern of Pr4Br4NCl (the GGA-PBE geometry in OQMD; Cu Kα).
Peak positions follow from Bragg's law for the DFT cell and can differ from measured ones.

Main lines, sorted by position (2θ = 5–70°):
two_theta  I/Imax
11.12  50
28.28  14
30.16  46
31.10  21
31.75  100
34.20  25
37.65  15
44.05  26
44.19  14
44.65  29
46.81  18
56.68  18

Crystal structure